Monday 16 July 2012

Chau y Nos Vemos Pronto!

I was able to leave the hustle and bustle of the city, after hopefully being issued with another tempory visa and headed to baños, a rather touristy town in the middle of the semi jungle, which is the adventure capital of Ecuador; i was in for a treat! I So excited to do white water rafting, an adventure sport which I had dabbled in, was very exhilarating, going through class 3 and 4 rapids, so exciting that our guide decided that I was not enjoying myself enough and through me in off the boat into freezing cold water, which put me back in my place obviously! I then was able to try cannoning down waterfalls, which was so scary at the beginning, but I got so into it and was jumping in the water, and having a wonderful time, I can say there are facebook photos to prove it! I was generally just loving the wonderful landscape and going out with an extended family of people of all ages which were in the hostel. 
An adrenaline junkies heaven, however I had had my adrenaline fix and wanted to be back at one with nature, I went to Latacunga, a rather small town with not a lot, but near to the wonderful crater lake of Quillatoa, which was a marvel, amazing clear water which was turquoise which got brighter and clearer as you went down, however the going up was the hard bit, as I was back in altitude of over 4000m, not fun walking up a crater, but we got back to the town, and me and a friend were bound for the Amazon.

 After having spent over 6 months in south America it was about time that I saw the Amazon, so we booked a tour and headed to Quito, After a horrible 8 hour overnight buss ride which was constantly going downhill so I was forced out of my chair we got to Lago Agrio, a hellhole which no one would step foot in except to go to the wonderful Cuyebeno Nature Reserve, we started our jungle adventure with another 2 hour bus ride then in a Canoe, where it all began, we started seeing monkeys and birds at every corner and being in a beautiful primary rainforest was spectacular! The first activity was swimming in the Laguna at sunset, and seeing pink river dolphins, which was my goal while being in the Amazon, they were nowhere near as beautiful as normal dolphins but were amazing to see these creature in the wild! This was followed by Cayman watching by night time, which was crazy, seeing the red eyes out of the water, these Cayman were seriously almost as big a crocodiles! The jungle had more to be explored, the next day we started with a hike, which involved me falling in mud and swamp many times much to the amusement of everyone else who seamed to manage it without so many falls, we also learnt about all the plants and animals of the jungle, tricks such as how to climb the tallest palm trees to reach the coconuts, and how to make jungle fire out of sap, and which trees keep the mosquitoes away.  This was followed by piranha fishing, however on my part it seamed to be piranha feeding, as the meet was only being eaten and no catching was happening, however others managed to catch these crazy fish with razor sharp teeth, but they were much smaller than I though, the film happened to be misleading, and they don’t eat people as I went swimming in the same river as the piranhas that evening! Other jungle activities were visiting the ingenious community, which was awesome, although slightly touristy, as the Sharman went on a lot about Ayawascha, the spiritual hallucinogenic plant which has turned into a bit of a cult drug in SA,  also we learnt how to make the local yucca bread called Casave, which was a really cool process, as the lady made bread out of grated yucca, of which she grated the water out and cooked it and within about 5 minutes , the yucca root was bread, which was surprisingly good! The next day we did 5am bird watching, which wasn’t really my cup of tea, but when in Rome, with the best birds in the world, staying in my jungle hut was no real option. This was made better by having to row there, as the motor on the canoe suddenly died, however we got back, and did see amazing birds, macaws would be my highlight, as well as many colorful animals and even a sloth! Jungle time was sadly over, however this did give me added respect for the indigenous people in Ecuador who still live in the traditional ways in the communities, this was something that didn’t seam so prevalent in other countries, after returning to Lago Agrio and spending too long there for my liking, I was faced with one of the worst night buses, of which my passport was checked about 5 times, being the only gringo on the bus to the Colombian boarder.  

After a surprisingly easy 6am bourder crossing, although being ripped off by money changing, I made it to Colombia! As the south is known as dangerous, I was advised to get as far into Colombia as possible, and though Popayan was a good first stop. The journey took forever, but the scenery was incredible and the lady next to me seamed to trust me enough to blurt out her life story about her husband cheating on her with her neighbors younger sister, serious outrage, but she needed someone to listen to her, and I was the only one there. Popayan was a nice colonial town, like others seen before, but it was a nice refuge from the bus and was rather pretty, I then decided to see some more indigenous statues and went horse riding for the first time since I was about 5, this horse was seriously going for it and I was trying my hardest to stay on, but like anything I got into it and even started in enjoy galloping around the beautiful countryside of San Augustin, seeing indigenous statues of which no one knows the origin, as the indigenous people of Colombia are much less well known than the Incas who took over almost all South America, even though there are many other less well known cultures who also did amazing things, but the Incas are the ones with all the fame.

 After an eventful day horse riding, I was tired enough for another night bus to the Coffee region, and the gringo hotspot called Salento. However there is always a reason gringo flock to the same places, they are always amazing, Salento was no exception, it was so beautiful, and I had the opportunity to camp, back on the ground (where I belong) I was very happy, in an awesome hostel which was bonfires, shared dinners and a lovely surroundings. We did an amazing hike the next day to the Cocora Vally, one of the best , it had it all, jungle, mountains, hills, bridges, and an hummingbird santury, to top it all off! We saw the wax palms, which are Colombia’s national tree, 1000000 times bigger than me! Ad went home to the best dinner of Mediterranean vegetables, humus, pita bred and kebab, one of the best meals I had eaten in South America! Then went to a coffee farm, although I am more of a teas person I was able to appreciate good coffee when I tasted it and man it was good, the man who showed us round, Don Elias was so into his coffee and had being involved in the Coffee industry since he was 6, what a lovely family story, Saltento was amazing!

After 4 days, I had to move, and with my new travel companion, we hit another overnighter to Medalin, the city of plastic surgery and beautiful women (maybe one enhances the other)  however fitst we found this gem of a pace called Guatape, which is surrounded by an artificial lake, and the biggest rock in the world, other than Ayres rock, so tranquillo. We went on an awesome bike ride, mostly downhill, with swimming holes and ice cream, where we enjoyed watching the England Italy match, my patriotism comes out the other side of the world, as I was the only English person in the bar, the loss was nothing to be ashamed about.

As the weekend was fast approaching, we wanted to be in the bustling city of Medallin, with lots of salsa dancing and a far bit of Rum, we danced away 2 nights, and therefore the days were rather slow, I am sad to say I did not see much more of Medallin than the hostel and the surrounding area, although I did find a Mexican flute player, who made me day, I was able to rekindle my lost skills, he was wayyy better than me, but my flute had not been around the world, maybe next time!

**Between two parts of the piece: records of molecules**
____________
Molecular formula: C32H41F2NO3P2
Method: DFT, ωB97M-V/def2-TZVPD

```
81
C32H41F2NO3P2 ωB97M-V/def2-TZVPD
C 2.73518 2.63300 2.36291
C 2.87617 1.29118 2.83007
C 3.42064 -0.24058 3.07426
P 2.36105 -1.43193 1.95927
F 1.57430 -2.02882 3.44603
O 0.79349 -0.84540 1.47334
C -0.11627 -1.93266 1.08089
C -1.41452 -1.18509 0.33725
C -2.60558 -0.76635 1.40235
O -1.90459 -1.92395 -0.83994
C 3.06934 -3.17660 1.68947
C 4.32477 -3.28906 0.64528
F 3.60277 -3.63146 3.02826
P 3.16369 -0.62274 0.10668
N 2.09360 0.66206 -0.58260
O 4.69005 0.23930 0.38512
H 2.66631 3.81616 2.27813
H 3.19262 -0.51402 4.21376
H 4.57333 -0.38462 2.92892
H 0.38783 -2.70438 0.35609
H -0.55775 -2.41387 2.06075
H -0.97700 -0.15685 -0.08181
H -2.38694 -1.16035 2.49242
H -3.68621 -1.10002 1.02874
H -2.65862 0.42562 1.43538
H -1.15049 -1.84367 -1.52426
H 2.26975 -3.99642 1.38920
H 4.00150 -3.31400 -0.50322
H 5.20606 -2.52368 0.84831
H 4.81005 -4.36442 0.83264
H 1.66251 1.24248 0.17138
H 1.33976 0.19412 -1.16871
H 4.99788 0.68379 -0.46012
C 8.26229 -3.01639 2.28891
C 9.55745 -3.53144 2.33460
C 10.60978 -2.82741 1.75002
C 10.36618 -1.60921 1.11529
C 9.06951 -1.09864 1.06148
C 8.01771 -1.80081 1.64933
H 7.44364 -3.56192 2.75035
H 9.74703 -4.48198 2.82696
H 11.61957 -3.22747 1.78880
H 11.18621 -1.05922 0.66201
H 8.87846 -0.15215 0.56167
H 7.00767 -1.40166 1.60936
C -3.07959 1.61595 -4.23092
C -4.03801 1.90925 -3.26128
C -3.64495 2.18390 -1.95176
C -2.29249 2.16100 -1.61036
C -1.33471 1.85855 -2.57790
C -1.72742 1.58758 -3.88833
H -3.38567 1.40859 -5.25270
H -5.09217 1.92462 -3.52658
H -4.39194 2.41580 -1.19712
H -1.98576 2.37746 -0.59083
H -0.28104 1.83480 -2.31072
H -0.98074 1.35422 -4.64273
C -8.14368 -4.50130 1.20505
C -6.84851 -5.01635 1.25074
C -5.79619 -4.31232 0.66616
C -6.03978 -3.09412 0.03143
C -7.33646 -2.58355 -0.02238
C -8.38825 -3.28572 0.56547
H -8.96232 -5.04684 1.66649
H -6.65894 -5.96689 1.74310
H -4.78640 -4.71238 0.70494
H -5.21976 -2.54413 -0.42185
H -7.52750 -1.63706 -0.52219
H -9.39830 -2.88657 0.52550
C -3.90476 8.15148 -3.52627
C -3.88063 6.83705 -3.99155
C -3.87892 5.77603 -3.08657
C -3.89696 6.02955 -1.71484
C -3.91168 7.34412 -1.24941
C -3.91719 8.40518 -2.15441
H -3.91287 8.97790 -4.23173
H -3.86399 6.63935 -5.06044
H -3.86357 4.75172 -3.44960
H -3.89825 5.20313 -1.00956
H -3.91973 7.54203 -0.18034
H -3.93104 9.42952 -1.79157
```

Values from the calculation:
Spin multiplicity = 1
Gap between HOMO and LUMO = 0.3045 hartree
Charge = 0
SMILES string = C#CCP(F)(OC[C@H](C)O)([C@@H](C)F)P(N)O.c1ccccc1.c1ccccc1.c1ccccc1.c1ccccc1

Atomic partial charges in e from the Mulliken method, atoms 1 to 8:
1. C -0.595
2. C 0.008
3. C -0.283
4. P 0.278
5. F -0.563
6. O -0.099
7. C -0.552
8. C 1.074



Molecular formula: C32H41F7N2O24P
Method: DFT, ωB97M-V/def2-TZVPD

```
107
C32H41F7N2O24P ωB97M-V/def2-TZVPD
C 4.18639 0.89309 3.92068
O 5.33149 1.04300 3.08435
C 5.02603 0.66245 1.72649
C 4.61228 1.88359 0.84207
C 3.06699 2.23108 0.88583
C 2.84240 3.76890 1.20612
____________

The Caribbean was calling, and so we were going to Caratenga, the jewel of the Caribbean cost! We awoke to stifling hot temperatures, attempted walking around the city, but mainly went from air conditioned café, to air conditioned café, we did see a firbit of the city, and the fort, which Francis Drake himself could not conquer, the Spanish knew their defense, and the English could not pass to regain control of the Caribbean! It is one beautiful city, however I was beach bound, it was the Caribbean after all, so with a group in hand, we headed to an island called Playa Blanca, and there we were at 10am on a Tuesday, in the Caribbean sea, which was so crystal and turquoise, it was beautiful! When it got dark, we went exploring, and found a beach further along, where we made a fire, and went swimming with full moon and lightning storms in the distance, it was a special evening! However the sunburn brought us back to reality, and we had to go back to Cartagena, to continue the Caribbean adventure. We found Taganga, a bit of a run down beach town, witch a laid back feel and many people looking for a good time, that we found. Also some overcrouded beaches and lots of coconuts, an the most amazing restaurant, a three course meal of falafel, langoustine pasta and chocolate brownie with ice cream, was one of the highlights of this crazy place!

One f the highlight of the Colombian Caribbean are the beautiful postcard beaches of Parque Nacional Tyrona, these were special, with everything you could ever want from a beach, we slept in hammocks and watched sunsets, went midnight swimming, and jungle hiking to see monkeys, it was a beautiful few days, but like everyone else my paradise time was coming to an end, and had to leave the park after three nights and work out what I was going to do with my remaining week. We found Minca, one of the loveliest paces in my world, it was 20 kilometers from Santa Marta, in the semi tropical mountains, we arrived in a tropical storm, which was eventful, but then found Oscar´s. Oscar was amazing, he opened up his house, and built little huts around the panoramic view where you could see toucans, and monkeys on one side and the Caribbean sea on the other, it was the best possible place to spend my past weekend in SA.  We went swimming in waterfalls, eat homemade vegetarian food, and listened to Argentinean tango music, I could not be happier, however Sunday came all too soon, and therefore my flight the following Wednesday, so I boarded my last ever night bus, and woke up in Bogotá this morning!

Wow that a whirlwind the past months have been, I can think about ever single event and I would have never pictured anything like what happened in the past 7 and a half months, its be mind blowing, but its time for Rosa to go home and for the adventures to end. But only this time…